Now echo the whole of the lines underneath without altering anything.
........
Cs2AgRu: calculated powder diffraction line list (CuKα), based on a PBE-relaxed structure.

Principal peaks in the range 15 to 90 degrees two-theta, in order of rising 2θ:
two_theta  I/Imax
15.2  1000
18.2  434
23.8  551
30.7  879
34.4  267
35.2  252
36.9  316
41.6  311
44.0  320
48.7  282

Structure:
```
Cs2AgRu
1.0
11.649 0.000 0.000
0.000 11.649 0.000
0.000 0.000 5.369
Cs Ag Ru
8 4 4
direct
0.000 0.000 0.000
0.000 0.500 0.000
0.250 0.250 0.750
0.250 0.750 0.250
0.500 0.000 0.500
0.500 0.500 0.500
0.750 0.250 0.750
0.750 0.750 0.250
0.000 0.250 0.375
0.000 0.750 0.625
0.500 0.250 0.125
0.500 0.750 0.875
0.000 0.250 0.875
0.000 0.750 0.125
0.500 0.250 0.625
0.500 0.750 0.375
```



Cs3Ag9Sb4S12: calculated powder diffraction line list (CuKα), based on a PBE-relaxed structure.

Principal peaks in the range 15 to 90 degrees two-theta, in order of rising 2θ:
two_theta  I/Imax
22.4  142
25.0  533
28.5  1000
29.6  151
33.7  129
35.7  128
36.5  123
40.0  235
49.2  233
52.5  196

Structure:
```
Cs3Ag9Sb4S12
1.0
-5.624 5.624 5.996
5.624 -5.624 5.996
5.624 5.624 -5.996
Cs Ag Sb S
3 9 4 12
direct
0.000 0.000 0.000
0.329 0.329 0.000
0.671 0.671 0.000
0.008 0.503 0.853
0.012 0.510 0.175
0.164 0.988 0.498
0.334 0.836 0.825
0.490 0.666 0.502
0.497 0.349 0.505
0.651 0.155 0.147
0.750 0.250 0.500
0.845 0.992 0.495
0.138 0.397 0.514
0.376 0.862 0.259
0.603 0.118 0.741
0.882 0.624 0.486
0.098 0.789 0.209
0.111 0.902 0.691
0.211 0.420 0.309
0.305 0.674 0.973
0.326 0.299 0.631
0.437 0.109 0.234
0.580 0.889 0.791
0.668 0.695 0.369
0.701 0.332 0.027
0.797 0.563 0.671
0.875 0.203 0.766
0.891 0.125 0.329
```



Cs2Si2AgS6: calculated powder diffraction line list (CuKα), based on a PBE-relaxed structure.

Principal peaks in the range 15 to 90 degrees two-theta, in order of rising 2θ:
two_theta  I/Imax
21.0  268
23.9  1000
25.1  717
30.1  318
32.9  545
34.9  296
43.2  312
43.5  387
51.5  280
57.2  221

Structure:
```
Cs2Si2AgS6
1.0
3.551 2.050 7.786
-3.551 2.050 7.786
0.000 -4.100 7.786
Cs Si Ag S
2 2 1 6
direct
0.217 0.217 0.217
0.783 0.783 0.783
0.408 0.408 0.408
0.592 0.592 0.592
0.000 0.000 0.000
0.245 0.245 0.745
0.245 0.745 0.245
0.255 0.755 0.755
0.745 0.245 0.245
0.755 0.255 0.755
0.755 0.755 0.255
```



CsTh2AgS5: calculated powder diffraction line list (CuKα), based on a PBE-relaxed structure.

Principal peaks in the range 15 to 90 degrees two-theta, in order of rising 2θ:
two_theta  I/Imax
23.8  540
25.4  999
25.7  662
30.9  1000
35.7  268
37.7  238
39.3  611
42.8  236
48.6  275
71.1  285

Structure:
```
CsTh2AgS5
1.0
-3.977 3.977 7.492
3.977 -3.977 7.492
3.977 3.977 -7.492
Cs Th Ag S
2 4 2 10
direct
0.250 0.250 0.000
0.750 0.750 0.000
0.166 0.666 0.832
0.334 0.166 0.500
0.666 0.834 0.500
0.834 0.334 0.168
0.250 0.750 0.500
0.750 0.250 0.500
0.000 0.000 0.000
0.027 0.243 0.500
0.243 0.743 0.216
0.257 0.473 0.500
0.473 0.973 0.216
0.500 0.500 0.000
0.527 0.027 0.784
0.743 0.527 0.500
0.757 0.257 0.784
0.973 0.757 0.500
```



Cs2ThAg2S4: calculated powder diffraction line list (CuKα), based on a PBE-relaxed structure.

Principal peaks in the range 15 to 90 degrees two-theta, in order of rising 2θ:
two_theta  I/Imax
21.7  368
22.7  693
23.3  377
27.7  964
30.1  996
32.1  483
32.3  1000
36.9  325
42.3  397
49.5  358

Structure:
```
Cs2ThAg2S4
1.0
7.727 -2.136 0.000
7.727 2.136 0.000
-2.666 0.000 7.827
Cs Th Ag S
2 1 2 4
direct
0.138 0.138 0.069
0.862 0.862 0.931
0.000 0.000 0.500
0.320 0.320 0.515
0.680 0.680 0.485
0.189 0.189 0.673
0.487 0.487 0.719
0.513 0.513 0.281
0.811 0.811 0.327
```



Cs2UAg2S4: calculated powder diffraction line list (CuKα), based on a PBE-relaxed structure.

Principal peaks in the range 15 to 90 degrees two-theta, in order of rising 2θ:
two_theta  I/Imax
22.1  368
22.8  701
23.5  379
28.1  921
30.4  997
32.5  476
32.7  1000
37.3  317
43.1  402
49.9  404

Structure:
```
Cs2UAg2S4
1.0
7.642 -2.097 0.000
7.642 2.097 0.000
-2.643 0.000 7.793
Cs U Ag S
2 1 2 4
direct
0.137 0.137 0.068
0.863 0.863 0.932
0.000 0.000 0.500
........
Cs2AgRu: calculated powder diffraction line list (CuKα), based on a PBE-relaxed structure.

Principal peaks in the range 15 to 90 degrees two-theta, in order of rising 2θ:
two_theta  I/Imax
15.2  1000
18.2  434
23.8  551
30.7  879
34.4  267
35.2  252
36.9  316
41.6  311
44.0  320
48.7  282

Structure:
```
Cs2AgRu
1.0
11.649 0.000 0.000
0.000 11.649 0.000
0.000 0.000 5.369
Cs Ag Ru
8 4 4
direct
0.000 0.000 0.000
0.000 0.500 0.000
0.250 0.250 0.750
0.250 0.750 0.250
0.500 0.000 0.500
0.500 0.500 0.500
0.750 0.250 0.750
0.750 0.750 0.250
0.000 0.250 0.375
0.000 0.750 0.625
0.500 0.250 0.125
0.500 0.750 0.875
0.000 0.250 0.875
0.000 0.750 0.125
0.500 0.250 0.625
0.500 0.750 0.375
```



Cs3Ag9Sb4S12: calculated powder diffraction line list (CuKα), based on a PBE-relaxed structure.

Principal peaks in the range 15 to 90 degrees two-theta, in order of rising 2θ:
two_theta  I/Imax
22.4  142
25.0  533
28.5  1000
29.6  151
33.7  129
35.7  128
36.5  123
40.0  235
49.2  233
52.5  196

Structure:
```
Cs3Ag9Sb4S12
1.0
-5.624 5.624 5.996
5.624 -5.624 5.996
5.624 5.624 -5.996
Cs Ag Sb S
3 9 4 12
direct
0.000 0.000 0.000
0.329 0.329 0.000
0.671 0.671 0.000
0.008 0.503 0.853
0.012 0.510 0.175
0.164 0.988 0.498
0.334 0.836 0.825
0.490 0.666 0.502
0.497 0.349 0.505
0.651 0.155 0.147
0.750 0.250 0.500
0.845 0.992 0.495
0.138 0.397 0.514
0.376 0.862 0.259
0.603 0.118 0.741
0.882 0.624 0.486
0.098 0.789 0.209
0.111 0.902 0.691
0.211 0.420 0.309
0.305 0.674 0.973
0.326 0.299 0.631
0.437 0.109 0.234
0.580 0.889 0.791
0.668 0.695 0.369
0.701 0.332 0.027
0.797 0.563 0.671
0.875 0.203 0.766
0.891 0.125 0.329
```



Cs2Si2AgS6: calculated powder diffraction line list (CuKα), based on a PBE-relaxed structure.

Principal peaks in the range 15 to 90 degrees two-theta, in order of rising 2θ:
two_theta  I/Imax
21.0  268
23.9  1000
25.1  717
30.1  318
32.9  545
34.9  296
43.2  312
43.5  387
51.5  280
57.2  221

Structure:
```
Cs2Si2AgS6
1.0
3.551 2.050 7.786
-3.551 2.050 7.786
0.000 -4.100 7.786
Cs Si Ag S
2 2 1 6
direct
0.217 0.217 0.217
0.783 0.783 0.783
0.408 0.408 0.408
0.592 0.592 0.592
0.000 0.000 0.000
0.245 0.245 0.745
0.245 0.745 0.245
0.255 0.755 0.755
0.745 0.245 0.245
0.755 0.255 0.755
0.755 0.755 0.255
```



CsTh2AgS5: calculated powder diffraction line list (CuKα), based on a PBE-relaxed structure.

Principal peaks in the range 15 to 90 degrees two-theta, in order of rising 2θ:
two_theta  I/Imax
23.8  540
25.4  999
25.7  662
30.9  1000
35.7  268
37.7  238
39.3  611
42.8  236
48.6  275
71.1  285

Structure:
```
CsTh2AgS5
1.0
-3.977 3.977 7.492
3.977 -3.977 7.492
3.977 3.977 -7.492
Cs Th Ag S
2 4 2 10
direct
0.250 0.250 0.000
0.750 0.750 0.000
0.166 0.666 0.832
0.334 0.166 0.500
0.666 0.834 0.500
0.834 0.334 0.168
0.250 0.750 0.500
0.750 0.250 0.500
0.000 0.000 0.000
0.027 0.243 0.500
0.243 0.743 0.216
0.257 0.473 0.500
0.473 0.973 0.216
0.500 0.500 0.000
0.527 0.027 0.784
0.743 0.527 0.500
0.757 0.257 0.784
0.973 0.757 0.500
```



Cs2ThAg2S4: calculated powder diffraction line list (CuKα), based on a PBE-relaxed structure.

Principal peaks in the range 15 to 90 degrees two-theta, in order of rising 2θ:
two_theta  I/Imax
21.7  368
22.7  693
23.3  377
27.7  964
30.1  996
32.1  483
32.3  1000
36.9  325
42.3  397
49.5  358

Structure:
```
Cs2ThAg2S4
1.0
7.727 -2.136 0.000
7.727 2.136 0.000
-2.666 0.000 7.827
Cs Th Ag S
2 1 2 4
direct
0.138 0.138 0.069
0.862 0.862 0.931
0.000 0.000 0.500
0.320 0.320 0.515
0.680 0.680 0.485
0.189 0.189 0.673
0.487 0.487 0.719
0.513 0.513 0.281
0.811 0.811 0.327
```



Cs2UAg2S4: calculated powder diffraction line list (CuKα), based on a PBE-relaxed structure.

Principal peaks in the range 15 to 90 degrees two-theta, in order of rising 2θ:
two_theta  I/Imax
22.1  368
22.8  701
23.5  379
28.1  921
30.4  997
32.5  476
32.7  1000
37.3  317
43.1  402
49.9  404

Structure:
```
Cs2UAg2S4
1.0
7.642 -2.097 0.000
7.642 2.097 0.000
-2.643 0.000 7.793
Cs U Ag S
2 1 2 4
direct
0.137 0.137 0.068
0.863 0.863 0.932
0.000 0.000 0.500